_Entries_
- - -
Record 1
{
  "formula": "C26H42Br2O9S3",
  "method": "ωB97M-V with the def2-TZVPD basis set",
  "homo_ev": -9.19,
  "charge": 0,
  "fmax_ha_per_bohr": 0.0077,
  "homo_lumo_gap_ev": 8.34,
  "smiles": "CCCCCCCC1=C(/C(Br)=C(/C)Br)C(=O)OC1=O.O=S1(=O)CCCC1.O=S1(=O)CCCC1.O=S1(=O)CCCC1",
  "e_tot_ha": -8035.6407,
  "species": ["C", "C", "C", "C", "C", "C", "C", "C", "C", "C", "Br", "C", "C", "Br", "C", "O", "O", "C", "O", "H", "H", "H", "H", "H", "H", "H", "H", "H", "H", "H", "H", "H", "H", "H", "H", "H", "H", "C", "C", "C", "S", "O", "O", "C", "H", "H", "H", "H", "H", "H", "H", "H", "C", "C", "C", "S", "O", "O", "C", "H", "H", "H", "H", "H", "H", "H", "H", "C", "C", "C", "S", "O", "O", "C", "H", "H", "H", "H", "H", "H", "H", "H"],
  "coordinates": [[-5.484, 5.471, -1.192], [-4.100, 6.113, -1.058], [-3.202, 6.059, -2.312], [-3.444, 4.890, -3.267], [-2.874, 3.571, -2.755], [-3.024, 2.427, -3.763], [-3.019, 1.047, -3.093], [-1.663, 0.602, -2.672], [-1.207, 0.299, -1.456], [-1.922, 0.308, -0.173], [-3.218, -1.057, 0.024], [-1.735, 1.179, 0.810], [-2.447, 1.213, 2.127], [-0.514, 2.588, 0.526], [0.223, -0.108, -1.578], [0.996, -0.468, -0.757], [0.572, -0.021, -2.916], [-0.515, 0.455, -3.619], [-0.453, 0.696, -4.779], [-5.945, 5.685, -2.159], [-5.449, 4.387, -1.058], [-6.156, 5.862, -0.424], [-3.578, 5.662, -0.210], [-4.249, 7.162, -0.786], [-3.256, 7.005, -2.857], [-2.161, 5.973, -1.977], [-4.508, 4.762, -3.486], [-2.960, 5.125, -4.223], [-1.814, 3.720, -2.517], [-3.385, 3.283, -1.827], [-3.976, 2.541, -4.293], [-2.237, 2.485, -4.516], [-3.433, 0.297, -3.776], [-3.663, 1.069, -2.207], [-1.909, 1.844, 2.832], [-3.450, 1.627, 1.985], [-2.533, 0.208, 2.543], [0.122, -3.123, -6.854], [0.559, -3.422, -8.295], [-0.613, -3.049, -9.211], [-1.509, -1.736, -8.361], [-2.823, -2.224, -8.019], [-1.362, -0.497, -9.079], [-0.498, -1.731, -6.885], [0.960, -3.165, -6.159], [-0.621, -3.855, -6.530], [1.431, -2.816, -8.545], [0.836, -4.467, -8.425], [-0.301, -2.670, -10.180], [-1.311, -3.873, -9.342], [-1.135, -1.500, -6.036], [0.253, -0.952, -7.003], [2.799, -0.807, 4.911], [3.038, -0.676, 3.400], [1.688, -0.361, 2.745], [0.729, 0.504, 3.995], [-0.418, -0.302, 4.346], [0.533, 1.879, 3.602], [1.944, 0.392, 5.303], [3.728, -0.822, 5.475], [2.258, -1.730, 5.130], [3.739, 0.139, 3.211], [3.470, -1.583, 2.978], [1.762, 0.279, 1.872], [1.132, -1.260, 2.487], [1.426, 0.283, 6.253], [2.518, 1.318, 5.292], [5.328, -5.325, 7.397], [5.322, -5.000, 8.897], [5.626, -3.504, 9.042], [5.019, -2.727, 7.537], [6.135, -2.179, 6.807], [3.876, -1.901, 7.835], [4.492, -4.237, 6.730], [4.922, -6.315, 7.194], [6.349, -5.295, 7.011], [4.337, -5.219, 9.314], [6.050, -5.598, 9.442], [5.121, -3.041, 9.886], [6.694, -3.302, 9.092], [4.660, -4.132, 5.661], [3.429, -4.359, 6.936]]
}

Record 2
{
  "formula": "C26H42BrNOP2Zn",
  "method": "ωB97M-V with the def2-TZVPD basis set",
  "homo_ev": -13.80,
  "charge": 2,
  "fmax_ha_per_bohr": 0.0460,
  "homo_lumo_gap_ev": 6.52,
  "e_tot_ha": -6181.2986,
  "species": ["C", "C", "C", "C", "N", "C", "C", "C", "C", "C", "C", "C", "C", "C", "Zn", "P", "H", "H", "H", "H", "H", "H", "H", "H", "C", "C", "H", "H", "H", "H", "H", "C", "C", "H", "H", "H", "H", "H", "C", "C", "H", "H", "H", "H", "H", "Br", "P", "C", "C", "H", "H", "H", "H", "H", "C", "C", "H", "H", "H", "H", "H", "C", "C", "H", "H", "H", "H", "H", "C", "O", "H", "H", "H", "H"],
- - -
_Request_
What is needed: give back the lines further above from the one with "-9.19," to the one with "6.52," verbatim.
_Worked solution_
  "homo_ev": -9.19,
  "charge": 0,
  "fmax_ha_per_bohr": 0.0077,
  "homo_lumo_gap_ev": 8.34,
  "smiles": "CCCCCCCC1=C(/C(Br)=C(/C)Br)C(=O)OC1=O.O=S1(=O)CCCC1.O=S1(=O)CCCC1.O=S1(=O)CCCC1",
  "e_tot_ha": -8035.6407,
  "species": ["C", "C", "C", "C", "C", "C", "C", "C", "C", "C", "Br", "C", "C", "Br", "C", "O", "O", "C", "O", "H", "H", "H", "H", "H", "H", "H", "H", "H", "H", "H", "H", "H", "H", "H", "H", "H", "H", "C", "C", "C", "S", "O", "O", "C", "H", "H", "H", "H", "H", "H", "H", "H", "C", "C", "C", "S", "O", "O", "C", "H", "H", "H", "H", "H", "H", "H", "H", "C", "C", "C", "S", "O", "O", "C", "H", "H", "H", "H", "H", "H", "H", "H"],
  "coordinates": [[-5.484, 5.471, -1.192], [-4.100, 6.113, -1.058], [-3.202, 6.059, -2.312], [-3.444, 4.890, -3.267], [-2.874, 3.571, -2.755], [-3.024, 2.427, -3.763], [-3.019, 1.047, -3.093], [-1.663, 0.602, -2.672], [-1.207, 0.299, -1.456], [-1.922, 0.308, -0.173], [-3.218, -1.057, 0.024], [-1.735, 1.179, 0.810], [-2.447, 1.213, 2.127], [-0.514, 2.588, 0.526], [0.223, -0.108, -1.578], [0.996, -0.468, -0.757], [0.572, -0.021, -2.916], [-0.515, 0.455, -3.619], [-0.453, 0.696, -4.779], [-5.945, 5.685, -2.159], [-5.449, 4.387, -1.058], [-6.156, 5.862, -0.424], [-3.578, 5.662, -0.210], [-4.249, 7.162, -0.786], [-3.256, 7.005, -2.857], [-2.161, 5.973, -1.977], [-4.508, 4.762, -3.486], [-2.960, 5.125, -4.223], [-1.814, 3.720, -2.517], [-3.385, 3.283, -1.827], [-3.976, 2.541, -4.293], [-2.237, 2.485, -4.516], [-3.433, 0.297, -3.776], [-3.663, 1.069, -2.207], [-1.909, 1.844, 2.832], [-3.450, 1.627, 1.985], [-2.533, 0.208, 2.543], [0.122, -3.123, -6.854], [0.559, -3.422, -8.295], [-0.613, -3.049, -9.211], [-1.509, -1.736, -8.361], [-2.823, -2.224, -8.019], [-1.362, -0.497, -9.079], [-0.498, -1.731, -6.885], [0.960, -3.165, -6.159], [-0.621, -3.855, -6.530], [1.431, -2.816, -8.545], [0.836, -4.467, -8.425], [-0.301, -2.670, -10.180], [-1.311, -3.873, -9.342], [-1.135, -1.500, -6.036], [0.253, -0.952, -7.003], [2.799, -0.807, 4.911], [3.038, -0.676, 3.400], [1.688, -0.361, 2.745], [0.729, 0.504, 3.995], [-0.418, -0.302, 4.346], [0.533, 1.879, 3.602], [1.944, 0.392, 5.303], [3.728, -0.822, 5.475], [2.258, -1.730, 5.130], [3.739, 0.139, 3.211], [3.470, -1.583, 2.978], [1.762, 0.279, 1.872], [1.132, -1.260, 2.487], [1.426, 0.283, 6.253], [2.518, 1.318, 5.292], [5.328, -5.325, 7.397], [5.322, -5.000, 8.897], [5.626, -3.504, 9.042], [5.019, -2.727, 7.537], [6.135, -2.179, 6.807], [3.876, -1.901, 7.835], [4.492, -4.237, 6.730], [4.922, -6.315, 7.194], [6.349, -5.295, 7.011], [4.337, -5.219, 9.314], [6.050, -5.598, 9.442], [5.121, -3.041, 9.886], [6.694, -3.302, 9.092], [4.660, -4.132, 5.661], [3.429, -4.359, 6.936]]
}

Record 2
{
  "formula": "C26H42BrNOP2Zn",
  "method": "ωB97M-V with the def2-TZVPD basis set",
  "homo_ev": -13.80,
  "charge": 2,
  "fmax_ha_per_bohr": 0.0460,
  "homo_lumo_gap_ev": 6.52,